== File ==
'''
No. 1
Here is a relaxed structure of Hg from the Materials Project. Energies are from r²SCAN.

Unit cell a=3.6722 b=3.6722 c=6.7849 alpha=90.00 beta=90.00 gamma=120.00
Space group R-3m (No. 166, hexagonal axes)
Unique sites:
Hg 0.0000 0.0000 0.0000

DFT formation energy in meV/atom: 17
Magnetization in μB per atom: 0.00
ΔE to the lowest computed polymorph in meV/atom: 17
Electronic total energy in eV per atom: -49.351


No. 2
Here is a relaxed structure of H from the Materials Project. Energies are from r²SCAN.

Unit cell a=3.910 b=3.910 c=3.808 alpha=90.00 beta=90.00 gamma=90.00
Space group I4/mmm (No. 139)
Unique sites:
H 0.000 0.000 0.097

DFT formation energy in meV/atom: 3
Magnetization in μB per atom: 0.00
ΔE to the lowest computed polymorph in meV/atom: 3
Electronic total energy in eV per atom: -3.453


No. 3
Here is a relaxed structure of ThCu2Sn2 from the Materials Project. Energies are from r²SCAN.

Unit cell a=4.439 b=4.439 c=10.559 alpha=90.00 beta=90.00 gamma=90.00
Space group P4/nmm (No. 129, origin choice 2)
Unique sites:
Th 0.250 0.250 0.240
Cu 0.250 0.250 0.636
Cu 0.250 0.750 0.000
Sn 0.250 0.250 0.872
Sn 0.250 0.750 0.500

DFT formation energy in meV/atom: -367
Magnetization in μB per atom: 0.00
Electronic total energy in eV per atom: -29.299


No. 4
Here is a relaxed structure of YNiGe3 from the Materials Project. Energies are from r²SCAN.

Unit cell a=4.066 b=21.508 c=4.088 alpha=90.00 beta=90.00 gamma=90.00
Space group Cmmm (No. 65)
Unique sites:
Y 0.000 0.169 0.000
Ni 0.000 0.390 0.500
Ge 0.000 0.057 0.500
Ge 0.000 0.284 0.500
Ge 0.000 0.443 0.000

DFT formation energy in meV/atom: -607
Magnetization in μB per atom: 0.00
Electronic total energy in eV per atom: -15.389


No. 5
Here is a relaxed structure of TbInCu2 from the Materials Project. Energies are from r²SCAN.

Unit cell a=6.596 b=6.596 c=6.596 alpha=90.00 beta=90.00 gamma=90.00
Space group Fm-3m (No. 225)
Unique sites:
Tb 0.000 0.000 0.000
In 0.000 0.000 0.500
Cu 0.250 0.250 0.250

DFT formation energy in meV/atom: -378
Magnetization in μB per atom: 0.00
Electronic total energy in eV per atom: -19.253


No. 6
Here is a relaxed structure of SnCl2 from the Materials Project. Energies are from r²SCAN.

Unit cell a=8.064 b=4.290 c=9.623 alpha=90.00 beta=90.00 gamma=90.00
Space group Pnma (No. 62)
Unique sites:
Sn 0.227 0.250 0.063
Cl 0.022 0.250 0.853
Cl 0.144 0.250 0.421

DFT formation energy in meV/atom: -1055
Magnetization in μB per atom: 0.00
Electronic total energy in eV per atom: -13.405


No. 7
Here is a relaxed structure of TbGaCo from the Materials Project. Energies are from r²SCAN.

Unit cell a=6.699 b=4.132 c=7.548 alpha=90.00 beta=90.00 gamma=90.00
Space group Pnma (No. 62)
Unique sites:
Tb 0.025 0.250 0.186
Ga 0.155 0.250 0.564
Co 0.223 0.750 0.382

DFT formation energy in meV/atom: -406
Magnetization in μB per atom: 0.13
Electronic total energy in eV per atom: -19.041


No. 8
Here is a relaxed structure of TbAl4Ni from the Materials Project. Energies are from r²SCAN.

Unit cell a=4.052 b=15.382 c=6.548 alpha=90.00 beta=90.00 gamma=90.00
Space group Cmcm (No. 63)
Unique sites:
Tb 0.000 0.117 0.250
Al 0.000 0.077 0.750
Al 0.000 0.310 0.053
Al 0.000 0.500 0.000
Ni 0.000 0.226 0.750

DFT formation energy in meV/atom: -595
Magnetization in μB per atom: 0.00
Electronic total energy in eV per atom: -12.284

* * * * *

! r²SCAN Ba2H6Os, relaxed; values from VASP
&SYSTEM
  ibrav = 0, nat = 9, ntyp = 3
/
ATOMIC_SPECIES
H 1.01 H.upf
Ba 137.33 Ba.upf
Os 190.23 Os.upf
CELL_PARAMETERS angstrom
-1.790 -5.078 1.937
-3.141 -0.296 4.774
-5.544 -1.385 -0.304
ATOMIC_POSITIONS angstrom
H -4.039 -1.616 4.101
H -7.209 -2.409 3.928
H -6.436 -5.143 2.305
Ba -7.856 -5.070 4.805
Os 0.000 0.000 0.000
H -3.266 -4.351 2.479
H -5.062 -4.520 5.209
H -5.413 -2.239 1.198
Ba -2.619 -1.690 1.602
! space-group type = Fm-3m (225)
! E = -132.337 eV for the cell shown
! ΔE_f = -0.62 eV per atom

* * * * *

Entry 1:
'''
== Wanted ==
What is needed: find the line above that holds "meV/atom: -367", then set down that line and all lines after it there.
== Reply ==
DFT formation energy in meV/atom: -367
Magnetization in μB per atom: 0.00
Electronic total energy in eV per atom: -29.299


No. 4
Here is a relaxed structure of YNiGe3 from the Materials Project. Energies are from r²SCAN.

Unit cell a=4.066 b=21.508 c=4.088 alpha=90.00 beta=90.00 gamma=90.00
Space group Cmmm (No. 65)
Unique sites:
Y 0.000 0.169 0.000
Ni 0.000 0.390 0.500
Ge 0.000 0.057 0.500
Ge 0.000 0.284 0.500
Ge 0.000 0.443 0.000

DFT formation energy in meV/atom: -607
Magnetization in μB per atom: 0.00
Electronic total energy in eV per atom: -15.389


No. 5
Here is a relaxed structure of TbInCu2 from the Materials Project. Energies are from r²SCAN.

Unit cell a=6.596 b=6.596 c=6.596 alpha=90.00 beta=90.00 gamma=90.00
Space group Fm-3m (No. 225)
Unique sites:
Tb 0.000 0.000 0.000
In 0.000 0.000 0.500
Cu 0.250 0.250 0.250

DFT formation energy in meV/atom: -378
Magnetization in μB per atom: 0.00
Electronic total energy in eV per atom: -19.253


No. 6
Here is a relaxed structure of SnCl2 from the Materials Project. Energies are from r²SCAN.

Unit cell a=8.064 b=4.290 c=9.623 alpha=90.00 beta=90.00 gamma=90.00
Space group Pnma (No. 62)
Unique sites:
Sn 0.227 0.250 0.063
Cl 0.022 0.250 0.853
Cl 0.144 0.250 0.421

DFT formation energy in meV/atom: -1055
Magnetization in μB per atom: 0.00
Electronic total energy in eV per atom: -13.405


No. 7
Here is a relaxed structure of TbGaCo from the Materials Project. Energies are from r²SCAN.

Unit cell a=6.699 b=4.132 c=7.548 alpha=90.00 beta=90.00 gamma=90.00
Space group Pnma (No. 62)
Unique sites:
Tb 0.025 0.250 0.186
Ga 0.155 0.250 0.564
Co 0.223 0.750 0.382

DFT formation energy in meV/atom: -406
Magnetization in μB per atom: 0.13
Electronic total energy in eV per atom: -19.041


No. 8
Here is a relaxed structure of TbAl4Ni from the Materials Project. Energies are from r²SCAN.

Unit cell a=4.052 b=15.382 c=6.548 alpha=90.00 beta=90.00 gamma=90.00
Space group Cmcm (No. 63)
Unique sites:
Tb 0.000 0.117 0.250
Al 0.000 0.077 0.750
Al 0.000 0.310 0.053
Al 0.000 0.500 0.000
Ni 0.000 0.226 0.750

DFT formation energy in meV/atom: -595
Magnetization in μB per atom: 0.00
Electronic total energy in eV per atom: -12.284

* * * * *

! r²SCAN Ba2H6Os, relaxed; values from VASP
&SYSTEM
  ibrav = 0, nat = 9, ntyp = 3
/
ATOMIC_SPECIES
H 1.01 H.upf
Ba 137.33 Ba.upf
Os 190.23 Os.upf
CELL_PARAMETERS angstrom
-1.790 -5.078 1.937
-3.141 -0.296 4.774
-5.544 -1.385 -0.304
ATOMIC_POSITIONS angstrom
H -4.039 -1.616 4.101
H -7.209 -2.409 3.928
H -6.436 -5.143 2.305
Ba -7.856 -5.070 4.805
Os 0.000 0.000 0.000
H -3.266 -4.351 2.479
H -5.062 -4.520 5.209
H -5.413 -2.239 1.198
Ba -2.619 -1.690 1.602
! space-group type = Fm-3m (225)
! E = -132.337 eV for the cell shown
! ΔE_f = -0.62 eV per atom

* * * * *

Entry 1: